Having Bert's daughter help cook and then finding random gifts for the guests should definitely become a recurring segment. Really brought this episode to another level
Love how casually Bertsky brough his beautiful daughter on. And how wholesome the Kreischers home is. Very happy for him and damn. Super transparent guy. I feel like Bert is my spirit animal I love him haha
It’s awesome to see that they love each other so much. It’s refreshing to see, especially with Hollywood people. It seems like so much family members in Hollywood need to fight and they love it. But these three are just genuinely happy to be around eachother
These guys were my entire childhood. Who knew they'd be such cool, down to earth dudes. They'd be such a blast to hang out with hope they do more podcasts with comedians
Just rewatched Boy Meets World / listened to Matthew Lawrence on Pod Meets World, he’s a good dude. Seems like they all are. Crazy to see the youngest with grey hair, but I have it too and I’m probably the same age. Woof, time flies.
I’ve been waiting for this episode since the Lawrence brothers were on your podcast. Your energies mesh so well 😊 it was also wholesome to see your daughter on the episode & I know Joey felt good when she thought he was 32 lol all of the brothers are aging like fine wine, especially Andy ❤ great episode & honestly great conversation. Never lacking & the food looks incredible 🤌🏼
You can tell Bert has a diverse group of friends because of how he holds space for perspectives other than his own. Great episode. The energy was great.
@@kayteebarga9694 "I havent drank in 2 weeks! Well I kinda tied one on a couple nights ago. *clicks tongue three times* and then actually Im gonna drink tonight. Im gonna make a special drink and maybe hop in the hot tub with Leeann." And ya know what, good for him. Im not talking shit. Whatever he's doing, its working! Lmao
I am not sure if he is high or something but I love joey Lawrence's energy. so positive and upbeat. all three of them are great. someeone get them a show, or a series
Man, if you were a kid in the 90s you knew who the Lawrence brothers were. Between Joey on Blossom and Matthew on boy meets world and then all of them on Brotherly Love. I’m glad they’re all doing well, such down to earth dudes.
Bert, seriously, i love you as a dude, and good luck with not drinking for a while! I love you AS you are and if this is what you’re getting after, mad support dawg!! Cheers from Freddy NB.
I love how Bert asks them about if they had to sit through an entire tv series which one would it be, and Andy mentions few and they were some good ones but the one that I really caught was Sons of Anarchy which I have to say is one of the best and one of my favorites!
I agree with Joey there's more to real Mexican food than just tacos. Just like there's more Italian food than just spaghetti and cannoli. You shouldn't judge anyone's culture especially by something that isn't authentic. I've noticed that authentic food has more flavor. Yes it was great to see Bert and the Lawrence brothers having a good time.
The Lawerence Bros are really good dudes. Each one being different from the other but also much alike. I love seeing Joey letting loose and having some laughs, i enjoy seeing him light up when he’s talking, you can tell he’s worked really hard all of his life, has had a ‘wild’ but successful life yet he remains humble and kind. That’s really refreshing to see coming from a successful guy like him. I think he taught his younger brothers to be the same way and that’s what makes them all so damn lovable. I think a funny idea would be to put Bert and Joey in an escape room without a time limit, I bet both of them together wouldn’t stop talking long enough to try to escape. 😂 But I love that about both of them, because I am the same way! I hope to see more collabs with the Lawrence Bros because their vibes are immaculate. 🤌🏼❤
4:19 dude… lmfao!! Andy is legit all of us caught in between the L & R right now! 🤣🤣🤣🤣 we’re just sitting here waiting for one side or the other to stop bickering 😂😂😂❤❤❤
Joe makes me feel old because all his stories of the 80s and 90s is exactly my generation. Saturday cartoons. Music stores lol good ol days!! This episode is epic!! I'm new York born and raised and have been living in Cali for the past 13 years. I'm half puerto rican and raised by my Italian mom. And boy do I love a homemade Italian dish!!! This Mexican shit is not even close. This episode is making me miss home
Matt is so adorable! I'm gonna eat this and then take a nap! @56:12 So relatable. Also so funny that Matt and Bert were thinking about totally diff Boom Boom songs. @56:20 😂
nice to see some wholesome people in Hollywood. i watched a lot of stuff of theirs as a kid. including Super Human Samurai Cyber Squad! anybody else? haha.
You're so entertaining and my son turned me on to you and now I can't get enough. This is my first Something's Burning and now I'm hungry 🎉🎉🎉 love you Bert 💋💋💋
First thing...Joe Lawrence is my dream guy now...he's friggin' PERFECT! Always liked him, but now that he's old like me...DAYUM! Also, BEND OREGON! I love Bend! I love on the west side of the Cascades, but Bend is where I want to retire! Love this series, Bert...Great show!
As an Iñupiaq from Barrow, Alaska. Duck soup and goose soup are some of our favorites! No matter how you cook it make sure you try to use everything from it you can. The neck and head/brains are my favorite part lol, but the whole frigging thing is delicious!
Am I right about Mexican food???
But the same can be said about Italian food. In defending one you end up defending the other.
💯 😂 I had all those things in a fajita form tonight
I enjoy food where ever its from
Yep. Many shirts
waaaaay wrong.
The Lawrence Brothers need a Netflix show!!! Right away !!!!!
-- Here the page breaks off for quantum chemistry results --
********
{
  "formula": "C8H56FN2O23P",
  "method": "the ωB97M-V functional and the def2-TZVPD basis",
  "elements": ["P", "F", "O", "O", "O", "O", "O", "O", "O", "O", "O", "O", "O", "O", "O", "O", "O", "O", "O", "O", "O", "O", "O", "O", "O", "N", "N", "C", "C", "C", "C", "C", "C", "C", "C", "H", "H", "H", "H", "H", "H", "H", "H", "H", "H", "H", "H", "H", "H", "H", "H", "H", "H", "H", "H", "H", "H", "H", "H", "H", "H", "H", "H", "H", "H", "H", "H", "H", "H", "H", "H", "H", "H", "H", "H", "H", "H", "H", "H", "H", "H", "H", "H", "H", "H", "H", "H", "H", "H", "H", "H"],
********
I never thought there would be a guest that could bring more energy than Bert......
You haven't been around many Italians have you?
@wolffisu I am italian. Lol my maiden name is Mognaga.
I feel like they all have severe ADHD and it is hilarious tbh, I love their podcast :')
Having Bert's daughter help cook and then finding random gifts for the guests should definitely become a recurring segment. Really brought this episode to another level
I'm so jealous of the Lawrence family bond. So cool to be that close to each other and be blood related.
Chili got Matt at those BBQs eating the soul food. I love that for him. Love the Lawrence brothers 😍
I love it when Joey just randomly breaks out in song. XO
His voices are surprisingly great
I sincerely hope the Lawrence brothers are going to be reoccurring guests in the bertiverse ❤😂
The Lawrence Brothers are soild dudes. Thanks Bert, this was great!
Best cooking show ever ! Lawrence bros are some down to earth guys man , crushin’ it with Bert !
Their podcast is great
We need more content with Bert and these guys it’s just an unmistakable energy that needs to be brought out even more!
The Lawrence Brothers brought some great energy. I'm gonna check out their pod.
You can tell the Lawrence bros needed some vodka and a good meal. They are the greatest and really genuine and entertaining.
Holy crap, the Muppets and Disney impressions are frighteningly good. Nice to see the bros being childish bros.
They do even more! I love that they started a podcast haha you hear all kinds of impressions during it.
I can't wait for Bert to be on the pod-da-pod!
Now he has been! 😊
Love how casually Bertsky brough his beautiful daughter on.
And how wholesome the Kreischers home is. Very happy for him and damn. Super transparent guy.
I feel like Bert is my spirit animal I love him haha
It’s awesome to see that they love each other so much. It’s refreshing to see, especially with Hollywood people. It seems like so much family members in Hollywood need to fight and they love it. But these three are just genuinely happy to be around eachother
Bert with the Lawrence Brothers are a good time. I love watching you all together on various podcasts!!!!
Let black shirt talk, he was so helpful with the serving of food too.
the rare guest that can talk more than anyone else
I have become a huge fan of the Lawrence Boys!
Get Joe List on since you guys are on good terms. And make Thai Food and Pizza! 😂
Heck ya😁
Joe DeRosa too!
I don't like Joe list that much 😂 I say Bert goes to war with him.
@DuderofDudeness I hated Joe at first cause it seems like he tries to be normad on the podcast but he's not bad after all
Where’d it say they were in good terms? Lol
These guys were my entire childhood. Who knew they'd be such cool, down to earth dudes. They'd be such a blast to hang out with hope they do more podcasts with comedians
I grew up with these guys love them and I love Bert!
My favorite episode of all time I love the lawrence bothers always such amazing vibes
Just rewatched Boy Meets World / listened to Matthew Lawrence on Pod Meets World, he’s a good dude. Seems like they all are. Crazy to see the youngest with grey hair, but I have it too and I’m probably the same age. Woof, time flies.
I’ve been waiting for this episode since the Lawrence brothers were on your podcast. Your energies mesh so well 😊 it was also wholesome to see your daughter on the episode & I know Joey felt good when she thought he was 32 lol all of the brothers are aging like fine wine, especially Andy ❤ great episode & honestly great conversation. Never lacking & the food looks incredible 🤌🏼
I've been waiting for this episode since they were on Bert's regular podcast.
That's why these guys are dope. They are the only guest to give thanks before eating that this show has had
Wow, really??!!
You can tell Bert has a diverse group of friends because of how he holds space for perspectives other than his own. Great episode. The energy was great.
I really honestly love him. He is precious af 👌. He must be just the best friend to have.
OMG I love the Lawrence brothers!!!!!! The best. XOXO
This is a trip seeing these bros this grown
Bert should give us all a dollar every time he says he's done drinking 😂
Shiet make it 25 cents and we all will still be rich
He does small breaks. He said right after he needs to get healthy so he can keep drinking.
@@kayteebarga9694 "I havent drank in 2 weeks! Well I kinda tied one on a couple nights ago. *clicks tongue three times* and then actually Im gonna drink tonight. Im gonna make a special drink and maybe hop in the hot tub with Leeann." And ya know what, good for him. Im not talking shit. Whatever he's doing, its working! Lmao
Ila with the Lydia vibes
He'd be broke in a month 😂
Why aren’t we talking about Joey’s amazing singing voice?!?!?! & Andy??? Wowzaaa!!! 👌
If anyone is wondering that is Casa Dragones Blue Label Tequila. Depending where you get it, it ranges from $50 to $100. Super smooth.
I am not sure if he is high or something but I love joey Lawrence's energy. so positive and upbeat. all three of them are great. someeone get them a show, or a series
They have a podcast, it’s great!
He's not high, lol He's just got a lot of energy. He may be ADD. Lol
I have now come to realize, that any of the Kreischer family helping cook makes the show that much better.
there should be one episode of something's burning with the kreischers.. cant wait to see the mess 😂😂
Man, if you were a kid in the 90s you knew who the Lawrence brothers were. Between Joey on Blossom and Matthew on boy meets world and then all of them on Brotherly Love. I’m glad they’re all doing well, such down to earth dudes.
The nineties weren't the start of the world.
Gimme A Break.
@@JovanGaluit-vy5hr…. He is literally referring to the guests. What are you goin on about? Go cry somewhere else
@@JovanGaluit-vy5hr????????????????????? Wat ???
@@JovanGaluit-vy5hrhahaha. Are you embarrassed?!?! That’s so embarrassing 😂
@@JovanGaluit-vy5hrnah man you had to be there very different times brother.
The Lawrence brothers are so freaking funny.❤
THE BROTHERS LAWRENCE.....I'D LOVE TO MEET THEM. huge fan since the 90's
Joey missed an opportunity to say his trademark “Whoa” when they REPEATEDLY said wow tasting the food.
Joey talks as much as Bert and I’m loving it haha.
I’m so excited the Lawrence brothers are going to be in my UA-cam que now!! Can’t wait for the pod!
Bert did a great job at listening!
These guys are a good vibe
You should do a monthly show together the way you all interact is great
I’m here for it!!!!
This weekend and the last fewe days has been a rabbit hole of watching all three podcast episodes of these four.They need to do more together.
What’s the 3rd one?
Joe is one of the few to be able to talk over Bert. I love it lol
I love all of your shows but definitely love this episode! Bert your the best your the man keep doing what your doing never change!
Had never heard of these 3 before but I love the eldest Brothers energy yall seemed to have a good time
Bert, seriously, i love you as a dude, and good luck with not drinking for a while! I love you AS you are and if this is what you’re getting after, mad support dawg!! Cheers from Freddy NB.
Great ep, loved this and the pod you all did!
Damn I really love these guys . There so real . They where definitely raised well ❤❤❤❤❤
I love how Bert asks them about if they had to sit through an entire tv series which one would it be, and Andy mentions few and they were some good ones but the one that I really caught was Sons of Anarchy which I have to say is one of the best and one of my favorites!
The magic is gone, the great times of the 80's and 90's. Early morning cartoons, the nation came together for the olympics!! it was great times.
They all look great and seem to be doing well .. can’t say that about most child stars / Disney kids
I agree with Joey there's more to real Mexican food than just tacos. Just like there's more Italian food than just spaghetti and cannoli. You shouldn't judge anyone's culture especially by something that isn't authentic. I've noticed that authentic food has more flavor. Yes it was great to see Bert and the Lawrence brothers having a good time.
Gifts for the guests! Best episode yet!
Love the Lawrence Bros! ❤❤❤
The Lawerence Bros are really good dudes. Each one being different from the other but also much alike. I love seeing Joey letting loose and having some laughs, i enjoy seeing him light up when he’s talking, you can tell he’s worked really hard all of his life, has had a ‘wild’ but successful life yet he remains humble and kind. That’s really refreshing to see coming from a successful guy like him. I think he taught his younger brothers to be the same way and that’s what makes them all so damn lovable.
I think a funny idea would be to put Bert and Joey in an escape room without a time limit, I bet both of them together wouldn’t stop talking long enough to try to escape. 😂 But I love that about both of them, because I am the same way! I hope to see more collabs with the Lawrence Bros because their vibes are immaculate. 🤌🏼❤
This was the best episode I had to rewatch it again and again 😂😂
This is the first time I have ever seen Ila and she is so beautiful! I love her hairstyle!
The irony of Bert exclaiming “That’s how you tell a fkn secret!” 😂 Bert, my man, you sir need to work on how to KEEP a secret 😂
♥️♥️♥️ #SecretTime
4:19 dude… lmfao!! Andy is legit all of us caught in between the L & R right now! 🤣🤣🤣🤣 we’re just sitting here waiting for one side or the other to stop bickering 😂😂😂❤❤❤
Wipes the floor, touches your food. Seems in character.
I saw that too. 🤢
I can't get over how Joey looks now! And it freaks me out how amped up Joey looks! It's like he is artificially amped up, if you know what I mean. Lol
Drugs? Yeah, he is the next TMZ special.
Nah he ain’t on that stuff
Andy swooping in with plates is why he’s a director…sees a need to assist and manage
Joe makes me feel old because all his stories of the 80s and 90s is exactly my generation. Saturday cartoons. Music stores lol good ol days!! This episode is epic!! I'm new York born and raised and have been living in Cali for the past 13 years. I'm half puerto rican and raised by my Italian mom. And boy do I love a homemade Italian dish!!! This Mexican shit is not even close. This episode is making me miss home
Exactly right about the pre shredded cheese! They also some times use sugar substitutes to prevent caking and clumping
Da pod da pod is the best; everyone needs to watch it Brotherly Love pod da pod...
1 of the best something's burning! What you do makes me laugh an happy! Thank you for what you do!
Matt is so adorable! I'm gonna eat this and then take a nap! @56:12 So relatable. Also so funny that Matt and Bert were thinking about totally diff Boom Boom songs. @56:20 😂
I love these guys!!! Thank you Bert
Bert finally met his match in someone who interrupts him repeatedly!!! Lol!! I love it!! 😂
The fact that the bros hate guilt !! Their parents did well lol 😆 😂
This whole show was most enjoyable. And I learned how to easily stuff manicotti.
1:37 So true...the 80's & 90's were the best times to be a kid. Nothing like the GenX era!!!!
Seem like great dudes! Great episode
I’d love to see a remake of the Martin Short movie Pure Luck!! I could watch it a thousand times. Something about it makes me giggle!
I don’t think I could stomach eating any of that after watching Bert touch his face that many times!
Dude, it took me over 20 minutes to realize these guys are who they are. Wow, what a trip! Mind: blown
I love the expression, "Ate like a lunatic" lol
nice to see some wholesome people in Hollywood. i watched a lot of stuff of theirs as a kid. including Super Human Samurai Cyber Squad! anybody else? haha.
Such a big brother thing to say " Andy needs to pee " 😂😂 aww 😅😅
Bert rocking the Blue Jays, classiest logo in the minors. Most are fun and wild, this is class.
Can't believe he didn't realize it's the Dunedin Bluejays. He only grew up 40 mins from that stadium.
Id love to see Louie and joe list on here, gotta make it happen!
Joe List and bart hate each other lol
I really enjoy this podcast very much thanks u guys made my day thanks again😊❤
Andy has some fabulous forearms!
You're so entertaining and my son turned me on to you and now I can't get enough. This is my first Something's Burning and now I'm hungry 🎉🎉🎉 love you Bert 💋💋💋
=====
Entry from the OMol25 dataset: an isolated molecule of C5H10N2O2 (ωB97M-V with the def2-TZVPD basis set).

The geometry in ORCA input format:
```
! wB97M-V def2-TZVPD RIJCOSX def2/J DEFGRID3
* xyz 0 1
O -2.77875 -0.19384 -0.23229
O 3.62026 -0.39052 -0.47553
N 1.59093 0.12337 -0.20422
N 2.80034 0.36911 0.07008
C -0.75114 1.22337 -0.25487
C 0.66594 1.33396 0.24757
C 0.82079 -1.04544 0.39302
C -0.57963 -1.30270 -0.25134
C -1.39415 -0.00564 0.21252
H -2.63898 -0.29657 -1.05502
H 1.36920 -1.80951 0.11011
H 0.54674 1.26581 1.35624
H 0.85892 -1.19568 1.71603
H -1.39421 -0.21373 1.36335
H -1.48085 2.27592 0.11735
H -0.63438 -1.31873 -1.40929
H -0.90358 -2.24600 0.15052
H 1.23199 2.10505 -0.34505
H -0.94944 1.32177 -1.50919
*
```

Results
LUMO level   0.038 eV
Frontier orbital gap   0.34391 Eh
Relative energy (zero: lowest compared OMol25 entry of this formula, charge and spin)   771.5 kJ/mol
SMILES   O=NN1CCC(O)CC1

What are the Mulliken partial charges on each atom? They are as follows, in elementary charge units: number 1, O, carries -0.48; number 2, O, carries -0.43; number 3, N, carries 0.49; number 4, N, carries -0.53; number 5, C, carries -0.34; number 6, C, carries -0.51; number 7, C, carries -0.68; number 8, C, carries -0.62; number 9, C, carries -0.17; number 10, H, carries 0.31; number 11, H, carries 0.54; number 12, H, carries 0.35; number 13, H, carries 0.24; number 14, H, carries 0.28; number 15, H, carries 0.23; number 16, H, carries 0.35; number 17, H, carries 0.32; number 18, H, carries 0.35; number 19, H, carries 0.29

Entry from the OMol25 dataset: a cluster of 16 separate species, C64H102ClN15O5 in total (ωB97M-V with the def2-TZVPD basis set).

The geometry in ORCA input format:
```
! wB97M-V def2-TZVPD RIJCOSX def2/J DEFGRID3
* xyz 1 2
Cl 5.46804 4.66908 27.57741
O 4.64996 5.80837 27.73573
O 6.20302 4.43929 28.71632
O 3.26324 8.18628 21.05337
O 4.57731 3.57232 27.35080
O 6.30221 4.78903 26.46905
N 6.39764 11.87895 25.47713
N -2.67066 3.90858 29.58557
N -0.74641 14.54592 20.40472
N -2.99074 4.97625 26.82933
N 2.51482 11.09256 30.41652
N -1.01750 0.10649 24.39559
N 4.24315 7.82721 16.65258
N 6.10563 10.60476 16.66339
N 7.93569 6.57382 22.51822
N 11.98878 11.84977 20.35880
N 1.64981 11.73324 24.09683
N 4.46125 14.13719 24.17066
N -2.17792 10.13459 15.53365
N 3.51794 7.79241 24.10569
N 0.17367 9.16201 26.39454
C 3.37454 6.24413 24.24748
C -1.74688 5.36201 24.97790
C 7.71769 5.76556 21.72962
C -2.38235 4.39426 25.71331
C -0.39931 9.75014 27.17755
C 3.71481 8.42957 25.48116
C -2.37883 9.85439 28.84606
C 11.47990 11.79559 21.38289
C 5.89441 10.94261 27.47739
C 7.32303 10.91311 25.84526
C 10.82484 11.85952 22.63306
C -2.10069 11.21394 16.38421
C 6.03016 4.69429 20.23688
C 1.77465 10.16687 31.10821
C -0.48552 9.79555 16.88125
C 4.44323 13.29351 23.09679
C 0.54296 11.82257 24.13046
C 5.59397 13.41519 22.37337
C -1.71385 4.52180 29.66519
C 4.00783 5.55534 17.06632
C 6.99586 10.25858 27.07259
C 0.31564 1.50735 25.42902
=====
This show is great and will definitely make you hungry lol
First thing...Joe Lawrence is my dream guy now...he's friggin' PERFECT! Always liked him, but now that he's old like me...DAYUM! Also, BEND OREGON! I love Bend! I love on the west side of the Cascades, but Bend is where I want to retire! Love this series, Bert...Great show!
Molecular data that have nothing to do with the entry:
********
DFT (ωB97M-V/def2-TZVPD) results for a cluster of 4 separate species, C15H31BN4O6P in total in a non-equilibrium geometry.

Geometry as XYZ:
```
58
Properties=species:S:1:pos:R:3:nbo_charge:R:1
P -5.620 -0.002 0.778 2.1737
O -6.631 0.673 -0.159 -1.0765
O -6.121 -1.650 0.844 -0.9758
O -5.809 0.742 2.284 -0.9820
O -4.007 1.340 -0.762 -0.6913
O -2.750 1.863 1.122 -0.7594
O -1.564 -1.293 2.539 -0.5438
N 5.399 0.489 -6.130 -0.3616
N 3.223 -1.660 3.148 -0.3330
N 2.912 0.496 1.251 -0.8816
N 3.255 -0.085 -1.478 -0.3695
C 4.146 -1.229 3.703 0.2972
C 2.349 1.748 0.608 -0.2162
C 0.997 1.448 -0.258 -0.4300
C -2.640 -0.360 2.347 -0.1025
C 3.878 1.123 -3.757 -0.7221
C -1.735 -2.482 1.761 -0.0759
C -2.478 -3.669 2.538 -0.6578
C 3.528 0.443 -2.477 0.3208
C -2.613 0.431 0.974 0.2263
C -3.890 0.161 0.016 -0.2353
C 5.334 -0.675 4.413 -0.7096
C -1.389 0.259 -0.022 -0.4085
C 3.478 0.219 -7.941 -0.7147
C 4.558 0.371 -6.925 0.3148
C 0.045 0.533 0.619 -0.4120
B -3.759 2.457 0.214 0.4090
H 2.979 1.265 -4.357 0.2399
H -3.041 -3.310 3.460 0.2165
H -1.769 -4.519 2.766 0.2087
H 0.501 2.434 -0.505 0.2095
H -1.467 0.923 -0.943 0.2401
H -4.955 1.010 2.671 0.5054
H -2.562 0.401 3.192 0.2127
H 3.784 0.683 -8.878 0.2545
H -1.407 -0.811 -0.428 0.1753
H -3.621 -0.917 2.532 0.1567
H -3.737 -0.812 -0.562 0.2065
H -0.108 0.923 1.672 0.2072
H 2.852 -0.251 0.542 0.3842
H -3.285 -4.058 1.835 0.2058
H 5.470 -1.189 5.364 0.2420
H 2.138 2.452 1.480 0.1830
H 2.565 0.698 -7.585 0.2594
H 2.392 0.262 2.096 0.3646
H 4.325 2.095 -3.549 0.2507
H 4.592 0.515 -4.322 0.2794
H -6.126 -1.891 1.790 0.4780
H -4.812 2.720 0.756 -0.1397
H -0.684 -2.835 1.490 0.1903
H 1.260 0.843 -1.181 0.2036
H 0.555 -0.479 0.742 0.1977
H -3.497 3.464 -0.371 -0.1230
H 3.136 2.276 -0.022 0.1706
H 5.190 0.390 4.599 0.2539
H 3.280 -0.839 -8.115 0.2577
H -2.268 -2.325 0.776 0.1769
H 6.227 -0.812 3.802 0.2493
```

Properties
charge	-1
LUMO level	1.69	eV
DFT total energy	-1626.85182	Eh
F_max	0.1000	hartree/bohr


No. 1
31
Properties=species:S:1:pos:R:3:forces:R:3 method="wB97M-V/def2-TZVPD" homo_lumo_gap_ev="7.00 / 6.29" lumo_ev="-5.11 / -5.87" charge=+1
H -0.1594 2.2630 -2.0490 -0.804 -0.650 1.016
C 1.7242 -2.0659 -0.0569 0.723 0.486 0.393
N 1.2212 -0.6355 2.2095 0.984 -0.918 0.931
H -1.8179 -3.7067 -3.1409 -0.309 3.151 1.706
C 0.2628 2.8859 3.2088 -0.080 1.849 0.352
C 1.5885 -1.6246 1.5431 -0.893 -0.370 -0.973
H -1.1753 1.4720 0.1538 -0.711 -0.352 0.186
H 1.0273 3.2630 4.0168 -1.750 0.277 -1.759
C -0.5481 0.5858 0.1528 -1.349 -2.287 0.623
C -0.6679 0.0457 -1.3813 2.270 2.302 1.746
H 0.3695 3.2793 2.1888 0.541 0.582 0.476
C -1.8160 -2.6206 -2.5669 -0.373 -1.838 -1.333
H -2.2817 0.0128 -2.7961 -0.630 0.206 -0.447
H -0.8320 3.1987 3.4428 1.855 -1.110 0.274
H -0.9586 -0.3482 0.7590 0.539 2.220 -0.687
C 1.2420 -1.1649 -1.0435 -1.487 0.700 -0.647
H 2.7826 -2.0712 -0.2066 1.159 -0.280 0.388
O 0.6487 1.0883 0.7663 0.320 -0.256 -0.845
C 0.6512 1.4883 3.1328 -0.732 -0.784 0.340
H 1.3723 -3.0658 -0.1688 -0.474 -0.754 0.287
********
I'm Mexican, I loooove Mexican food but Italian is a close second. Love Italian. Hahahaha! And "Life with Louie" was amazing, btw!
ila appearance after the jiujutsu story makes it perfect 😂
This was great episode. Never had a hour go by so fast and had me smiling whole time.
So right about mexican food but they are all so good
Andy said well I guess I'm done with that drink 😂😂
As an Iñupiaq from Barrow, Alaska. Duck soup and goose soup are some of our favorites! No matter how you cook it make sure you try to use everything from it you can. The neck and head/brains are my favorite part lol, but the whole frigging thing is delicious!
Been waiting for this episode loved it
"that's a changing of the guard, when your child can render you unconscious" haha
Ila asking JOEY LAWRENCE if he is bald is truly the highlight 😂
I love the presents at the end. It gives great content, you could talk for a half an hour about the presents, I enjoy this alot.
Rocking the Dunedin Jays cap! Love it!